Decades ago, before the internet, when your local radio stations and newspapers paid for service to a special machine that constantly churned out stories from stringers and main branches, there was a saying that I no longer remember but went something like, “Associated Press gets the story first; United Press gets it right.”
# Calculated molecules, kept here for reference
- - -
# 1
54
Properties=species:S:1:pos:R:3:forces:R:3 method="wB97M-V/def2-TZVPD" de_lowest_kj_mol=72.9 e_homo_ev="-6.901 / -9.421" multiplicity=2 s2=0.771 gap_ev="5.969 / 8.570" lumo_ha="-0.034 / -0.031"
Ti -0.9804 0.2802 -0.0065 -0.0588 1.8958 -0.3282
C -1.1316 2.2206 2.6355 -0.0028 0.0310 -0.0313
O -1.4777 2.1346 1.2561 0.0220 -0.0125 0.0726
C -1.3446 3.3789 0.5696 0.0199 0.0231 -0.0052
C -1.6211 3.1096 -0.8892 -0.0041 -0.0125 -0.0038
O -0.7667 2.0547 -1.3594 0.0433 0.0184 -0.1242
C 0.3294 2.4846 -2.1886 -0.0666 -0.0605 0.0815
C 0.8384 1.3214 -3.0144 -0.0294 0.0388 -0.0151
O 1.5713 0.3709 -2.2869 0.0425 -0.0142 0.0403
C 2.9136 0.7489 -2.0554 -0.0481 -0.0597 0.0112
H -1.8371 2.8760 3.1502 -0.0096 -0.0036 0.0119
H -1.1980 1.2160 3.0450 -0.0027 0.0025 0.0131
H -0.1176 2.6099 2.7530 -0.0242 -0.0002 0.0053
H -2.0730 4.0942 0.9649 -0.0181 -0.0007 -0.0110
H -0.3308 3.7595 0.7127 -0.0146 -0.0197 0.0132
H -2.6426 2.7657 -1.0348 -0.0020 -0.0174 0.0183
H -1.4470 4.0135 -1.4743 -0.0103 0.0026 -0.0001
H -0.0566 3.2448 -2.8730 0.0324 0.0243 0.0105
H 1.1054 2.9186 -1.5553 0.0313 0.0076 0.0143
H -0.0169 0.7966 -3.4443 -0.0091 0.0009 0.0108
H 1.4389 1.7286 -3.8397 0.0104 0.0025 0.0083
H 3.4565 0.8488 -3.0024 0.0037 0.0237 0.0039
H 2.9904 1.6869 -1.4988 -0.0009 0.0382 0.0343
H 3.3697 -0.0452 -1.4675 -0.0053 0.0133 0.0049
O -1.4280 -0.8883 1.3755 -0.7659 -1.7277 0.6408
C -2.0442 -2.0095 1.2076 0.6424 1.1015 0.2888
C -2.1317 -2.6804 -0.0391 -0.2494 -0.4377 -0.3897
C -2.8635 -3.8795 -0.1243 0.0827 0.1029 0.0475
C -2.9774 -4.5201 -1.3297 0.1004 -0.2892 0.1368
C -2.3880 -4.0361 -2.4977 0.1946 0.2710 0.0737
C -1.6483 -2.8754 -2.4295 -0.1642 -0.3866 -0.2148
C -1.5040 -2.1981 -1.2193 0.5625 0.7258 0.3280
O -0.7490 -1.1046 -1.1759 -0.3975 -1.3385 -0.7825
N -3.7553 -5.7667 -1.3927 -0.8420 0.5739 -0.1749
O -3.9216 -6.2678 -2.4870 0.3094 -0.2042 0.0244
O -4.2925 -6.1507 -0.3725 0.2907 -0.2027 0.1026
H -2.4875 -2.4511 2.0958 -0.0513 -0.0909 0.0038
H -3.3413 -4.2975 0.7506 -0.0087 -0.0136 0.0019
H -2.5140 -4.5743 -3.4244 -0.0106 -0.0201 -0.0020
H -1.1580 -2.4725 -3.3044 0.0046 0.0266 0.0202
F -2.7402 0.5286 -0.4835 -0.2987 -0.0561 -0.1325
Br 3.6768 -2.8069 3.6645 -0.0007 -0.0278 0.0038
C 3.6558 -0.9880 3.1582 0.0040 0.0536 -0.0235
C 4.6479 -0.1344 3.6212 0.0003 -0.0420 0.0115
N 4.6900 1.1555 3.3062 0.0109 -0.0003 -0.0061
C 3.7338 1.6315 2.5145 -0.0199 -0.0083 0.0069
C 2.7037 0.8497 2.0049 -0.0032 0.0551 0.0689
C 2.6628 -0.4984 2.3329 0.0251 0.0116 0.0238
C 1.6563 1.4733 1.1291 0.0639 -0.2579 -0.3762
O 1.6835 2.6670 0.8689 0.0131 0.0575 0.0671
O 0.7836 0.6347 0.6692 0.6051 0.1918 0.4197
H 5.4315 -0.5114 4.2679 0.0010 0.0084 0.0012
H 3.7731 2.6846 2.2653 0.0012 -0.0048 -0.0015
H 1.8742 -1.1319 1.9512 0.0012 0.0066 -0.0033

---

# 2
45
Properties=species:S:1:pos:R:3:forces:R:3 method="wB97M-V/def2-TZVPD" de_lowest_kj_mol=6.2 e_homo_ev=-8.837 smiles="CC(C)CNC(=O)c1cccc(NC(=O)Cc2ccc(Br)cc2)c1" gap_ev=9.131 lumo_ha=0.011
C 2.2005 4.4057 -7.9776 0.0402 -0.0280 0.2996
- - -
We never doubted that AP/UP/Reu/(etc.) were feeding most the news. The sources were right there in print.
The entry is interrupted by molecular data:
- - -
1.
# C30H40BrMnN2O4

A molecular structure, C30H40BrMnN2O4 (wB97M-V/def2-TZVPD, the OMol25 dataset).

Last column: Mulliken charge in e.
Element x y z (Å)
Mn (-0.25161, -0.28338, 0.59877)  1.630
C (-2.46698, -2.31035, 2.36579)  -1.169
O (-1.10544, -1.92023, 2.16667)  0.308
C (-0.37047, -2.01778, 3.38358)  -0.676
C (1.01749, -1.47395, 3.13274)  -0.661
O (0.98138, -0.23473, 2.40586)  -0.395
C (0.77484, 0.95058, 3.18960)  -0.579
C (-0.69735, 1.20595, 3.44677)  -1.080
O (-1.40038, 0.84714, 2.26412)  0.650
C (-2.78778, 1.19205, 2.33495)  -1.446
H (-2.52902, -3.37818, 2.58401)  0.290
H (-3.02089, -2.08786, 1.45910)  0.320
H (-2.89812, -1.74961, 3.19833)  0.352
H (-0.29589, -3.06145, 3.70575)  0.559
H (-0.89402, -1.46451, 4.16784)  0.309
H (1.59029, -2.15693, 2.51428)  -0.013
H (1.55194, -1.32992, 4.07335)  0.532
H (1.20709, 1.76162, 2.60700)  0.119
H (1.32927, 0.87613, 4.12644)  0.537
H (-0.84084, 2.26930, 3.66715)  0.503
H (-1.08721, 0.63512, 4.29334)  0.503
H (-2.91104, 2.27611, 2.32984)  0.330
H (-3.22627, 0.77785, 3.24523)  0.477
H (-3.27942, 0.76310, 1.46665)  0.260
Br (-1.89989, 7.21853, 0.27490)  -0.113
C (-1.82759, 5.36563, -0.00208)  -0.352
C (-0.84695, 4.61109, 0.62551)  -1.145
C (-0.80511, 3.24425, 0.41397)  0.541
C (-1.71742, 2.61757, -0.42223)  -0.616
C (-2.70684, 3.38549, -1.03513)  -0.842
C (-2.76044, 4.75274, -0.82965)  -0.741
N (-1.61077, 1.19652, -0.57932)  1.465
C (-2.25575, 0.60787, -1.50432)  -1.025
C (-2.27969, -0.85737, -1.58702)  0.494
C (-3.06889, -1.48949, -2.53141)  -0.877
C (-3.15719, -2.87509, -2.50980)  -0.817
C (-2.45794, -3.56711, -1.53944)  -0.889
C (-1.67241, -2.85667, -0.64285)  -0.928
N (-1.57197, -1.52800, -0.66180)  1.224
H (-0.12316, 5.09272, 1.26862)  0.539
H (-0.03472, 2.65743, 0.89119)  0.573
H (-3.46905, 2.94201, -1.66025)  0.449
H (-3.53232, 5.34263, -1.30325)  0.464
H (-2.84949, 1.14192, -2.24194)  0.456
H (-3.61718, -0.90391, -3.25690)  0.557
H (-3.77199, -3.39799, -3.22971)  0.472
H (-2.50660, -4.64463, -1.47152)  0.539
H (-1.11212, -3.37050, 0.12484)  0.497
C (1.00771, -3.32268, -2.34484)  -1.354
C (2.18829, -3.08303, -1.39793)  0.502
C (1.84262, -3.28723, 0.06991)  -1.527
C (2.84208, -1.76827, -1.74651)  0.031
C (3.92405, -1.82546, -2.58794)  -0.963
C (4.56831, -0.67328, -3.03720)  -1.270
C (4.12797, 0.58374, -2.62273)  -0.837
C (3.05512, 0.73461, -1.78275)  0.235
C (2.65684, 2.13190, -1.39271)  0.316
C (2.70101, 2.34181, 0.11850)  -1.820
C (1.33886, 2.52175, -2.06188)  -1.370
C (2.34959, -0.45891, -1.32009)  0.329
O (1.33302, -0.36979, -0.53952)  1.171
H (0.50234, -4.25822, -2.10012)  0.409
H (1.35113, -3.38664, -3.37688)  0.459
H (0.28604, -2.50682, -2.28749)  0.194
H (2.94184, -3.83929, -1.63047)  0.716
H (0.99363, -2.68508, 0.38192)  -0.148
H (2.69294, -3.04097, 0.70760)  0.559
H (1.58939, -4.33516, 0.24107)  0.474
H (4.28894, -2.79264, -2.91002)  0.501
H (5.41638, -0.75495, -3.70379)  0.434
H (4.65019, 1.46592, -2.97001)  0.492
H (3.42738, 2.78244, -1.81246)  0.843
- - -
It is good to remind people that while there are an endless number of websites, most news still comes from a handful of sources. I will even agree that our sources are all biased.
That said there are some stories where bias should be expected; where there aren’t really two sides. Example: “Locals outraged by villian’s kicking puppies!” Good reporting might include the reasoning, but the public is not going to side with the puppy-kicker. Surely there was a better way to handle the situation before it got to that.
The public does not side with Hitler, either. Personally, I am thankful that the larger public has been ‘brainwashed’ into thinking Hitler was ‘bad’. It saddens me that there are Nazis (or neo-Nazis) in countries that fought to end that vile cause. The citizenry should know better. More than that, the citizenry should know that all autocrats are bad. Any benevolent dictator is still mortal and will cede the position to someone else, and it won’t be long before the ‘someone else’ is not benevolent.
So: thank you for posting the link reminding everyone to be critical of all news sources, but also remember that some things are fairly reported. Sometimes a point of view is valid. Sometimes there is an actual solid truth that is being told. Yes, sometimes that truth is getting sensationalized, but that doesn’t it make it less true.
For this particular case, I will re-iterate that I am worried about potential strife. If my family was living in Venezuela, I would want a stable and well funded government without corruption and without dictatorship. I don’t think the people had that as a ballot option, and I don’t trust any of the players. I do miss Chavez, though. The U.S. gave him a raw deal.
I just love when someone doesn’t understand that APnews regularly spreads propaganda. Amazing to me that westies think that propaganda is only something that happens in outside the west. 😂
These 30 year old books describe the mechanics of western media, which last I checked, haven’t substantially changed today. If anything, propaganda has ramped up as a result of a proxy war with Russia.
I just love when someone claims APnews is propagand
Decades ago, before the internet, when your local radio stations and newspapers paid for service to a special machine that constantly churned out stories from stringers and main branches, there was a saying that I no longer remember but went something like, “Associated Press gets the story first; United Press gets it right.”
We never doubted that AP/UP/Reu/(etc.) were feeding most the news. The sources were right there in print.
It is good to remind people that while there are an endless number of websites, most news still comes from a handful of sources. I will even agree that our sources are all biased.
That said there are some stories where bias should be expected; where there aren’t really two sides. Example: “Locals outraged by villian’s kicking puppies!” Good reporting might include the reasoning, but the public is not going to side with the puppy-kicker. Surely there was a better way to handle the situation before it got to that.
The public does not side with Hitler, either. Personally, I am thankful that the larger public has been ‘brainwashed’ into thinking Hitler was ‘bad’. It saddens me that there are Nazis (or neo-Nazis) in countries that fought to end that vile cause. The citizenry should know better. More than that, the citizenry should know that all autocrats are bad. Any benevolent dictator is still mortal and will cede the position to someone else, and it won’t be long before the ‘someone else’ is not benevolent.
So: thank you for posting the link reminding everyone to be critical of all news sources, but also remember that some things are fairly reported. Sometimes a point of view is valid. Sometimes there is an actual solid truth that is being told. Yes, sometimes that truth is getting sensationalized, but that doesn’t it make it less true.
For this particular case, I will re-iterate that I am worried about potential strife. If my family was living in Venezuela, I would want a stable and well funded government without corruption and without dictatorship. I don’t think the people had that as a ballot option, and I don’t trust any of the players. I do miss Chavez, though. The U.S. gave him a raw deal.
Data records, as found in the file.
........
91
Properties=species:S:1:pos:R:3 method="wB97M-V/def2-TZVPD" homo_ev="-6.46 / -6.46" total_charge=0 gap_ev="4.94 / 4.96" energy_ha=-4148.3136
H 2.87776 2.19628 -1.58594
H -0.26894 0.64868 -3.29944
C -0.79044 -2.87082 2.73016
H 4.28506 -0.24212 0.93806
C 3.57566 0.06658 2.91156
H -5.85674 -1.43182 3.38186
H 5.04596 1.32128 3.82376
H 2.55196 0.30768 4.77916
H 1.92006 6.73518 -1.07064
H 3.17586 -2.69962 -0.78224
C -3.49154 0.44368 2.81126
O -1.88994 5.41958 0.05286
N -0.24464 -0.40632 1.30306
C -2.44514 -0.87082 -0.93724
C 3.40526 -0.17252 1.55896
C 3.42206 0.12238 -1.71664
C -2.92794 -1.79152 3.41446
H 0.16116 6.54108 0.40966
H -1.15974 -3.64842 3.39426
C -2.28234 0.58688 2.15576
C -4.72104 -2.33942 -2.70404
H -0.87464 -1.44642 -4.05654
C 0.38896 2.94398 -1.08614
C -1.90094 1.87228 1.49206
H -2.52324 -4.69772 -2.62734
H 1.45176 5.18718 -1.85404
C -0.72964 3.77448 -1.17994
H -3.17514 -2.72162 3.90816
Pd -0.48564 -0.05152 -0.87494
C 3.70766 1.56228 -1.29474
C 1.16436 -3.10772 -0.11974
H 2.49466 -2.24972 -3.19764
N 0.53016 1.82958 -1.77774
H -5.21824 -2.66322 -1.79524
H 4.60876 1.92058 -1.79294
H 3.84826 1.65378 -0.22074
H -2.72294 2.58268 1.46956
C 0.98276 -0.28742 1.80306
C 1.83686 -2.76442 -2.49834
C 4.70086 -0.71632 -1.74544
H -4.90524 -3.08012 -3.47544
C -0.52004 1.37658 -2.52094
H 4.52756 -1.70092 -2.17024
H -0.74344 -3.27302 1.71896
C -0.83804 5.03048 -0.42324
H -2.70794 3.92458 -1.99974
H -2.34894 -4.23162 -0.94184
C 2.15396 -0.34702 0.97986
H -5.62314 0.04318 4.32006
C 2.43366 0.11798 3.72066
H 5.72016 0.06078 2.78816
H -2.38934 -0.65172 -4.49234
O 2.49656 5.02588 -0.07114
C -3.84204 -0.74812 3.43306
H -3.09964 0.00388 -1.04774
H -5.11414 -1.52132 4.97506
P 1.92856 -0.57672 -0.80444
H 0.21846 -2.59792 3.03856
Ge -2.75054 -2.14432 -2.40034
C 2.15126 -2.41872 -1.04654
C 1.18556 -0.06672 3.19596
H 5.43356 -0.21262 -2.37754
H -4.18574 1.27428 2.82896
C -1.71104 -1.69002 2.76386
N 0.29706 5.77948 -0.24084
H 0.80636 -2.46392 -2.70904
H 5.07426 -0.34562 4.38756
C 1.56406 5.70778 -0.88914
H 1.20566 3.19808 -0.42124
H -1.58734 1.66808 0.45516
C -1.38504 -0.49802 2.09406
H -5.16654 -1.40022 -3.01694
H -2.13074 -2.33912 -4.90654
C -5.18604 -0.92002 4.07256
C -1.95004 -1.58382 -4.14724
H -1.05794 2.33338 2.01006
C -1.81964 3.31648 -1.94494
H 3.04726 0.16178 -2.75074
H 0.17076 -2.67102 -0.29104
H 1.12026 -4.17882 -0.31224
H 1.44626 -2.94982 0.91916
C -2.07424 -3.96872 -1.95934
C -1.72244 2.11788 -2.60724
H -0.99624 -4.04192 -2.05384
H -2.67994 -1.35452 0.01566
H 0.31556 -0.01222 3.83566
H 5.14376 -0.84132 -0.76134
C 4.93436 0.28198 3.50756
H 1.92726 -3.83782 -2.66914
H 3.34656 4.96788 -0.52344
H -2.54074 1.74058 -3.20474


# C13H29F2N2O5PS2

An isolated molecule of C13H29F2N2O5PS2 (ωB97M-V/def2-TZVPD, the Open Molecules 2025 dataset).

* structure (SMILES): CCSC[C@](F)(O[C@H](CC)CCCCS(=O)(=O)O)[C@H](F)N(C)P(N)O
* F_max: 0.0198 Eh/bohr
* energy relative to the best compared isomer or geometry (same formula, charge and spin): 39.5 kJ/mol
........
The article goes on.
I just love when someone doesn’t understand that APnews regularly spreads propaganda. Amazing to me that westies think that propaganda is only something that happens in outside the west. 😂
Do you have a source for that claim?
literal books have been written on the subject
So 30 year old books that talk about press during wartime being propagandist in some cases, with bias in others and heavily politiced in most, sure.
Do you have a source for stating AP spreads propagand routinely nowadays?
These 30 year old books describe the mechanics of western media, which last I checked, haven’t substantially changed today. If anything, propaganda has ramped up as a result of a proxy war with Russia.
another comment in this very thread has the sources regarding AP specifically
I just love it when someone posts propaganda and then goes into their own thread attempting to discredit everyone else as propaganda.
PosTinG NeWs abOut ThE ResUltS oF aN EleCtiOn Is PropaGnadA! 🤡